Please count the lines underneath that contain the word "which" and give the number alone.

An optimized crystal structure of Li4TiTe3O12, computed with GGA-PBE.

Output
Energy of formation from the pure elements = -2085.9 meV per atom
Calculated volume = 11.62 A^3/atom

Cell lengths 5.0656, 8.8176, 5.2126 Å; angles 90.00, 93.73, 90.00 degrees
Space group P2 (No. 3)
Unique sites:
Li 0.0000 0.0000 0.0000 (multiplicity 1)
Li 0.0000 0.3029 0.5000 (multiplicity 1)
Li 0.5000 0.4751 0.5000 (multiplicity 1)
Li 0.5000 0.8675 0.0000 (multiplicity 1)
Ti 0.5000 0.0662 0.5000 (multiplicity 1)
Te 0.0000 0.5673 0.0000 (multiplicity 1)
Te 0.0000 0.7696 0.5000 (multiplicity 1)
Te 0.5000 0.2502 0.0000 (multiplicity 1)
O 0.2025 0.7496 0.8326 (multiplicity 2)
O 0.2163 0.6101 0.3526 (multiplicity 2)
O 0.2344 0.9202 0.3633 (multiplicity 2)
O 0.2831 0.3980 0.8115 (multiplicity 2)
O 0.2910 0.2297 0.3000 (multiplicity 2)
O 0.3036 0.0827 0.8149 (multiplicity 2)

* * * * *

Entry 1:
Entry from the Materials Project: a geometry-optimized Zr11VO24 structure (GGA+U).

Calculated total energy: -0.68424 Ry per atom
Offset from the most stable computed form: 30 meV per atom
Volume: 420.27 Å³/cell

Lattice parameters (Å, degrees): 7.2965 10.8654 5.3012 90.00 90.00 90.00
Fractional positions:
Zr 0.0000 0.0000 0.0000
Zr 0.0000 0.3356 0.0258
Zr 0.0000 0.6644 0.0258
Zr 0.2469 0.1668 0.5181
Zr 0.2469 0.8332 0.5181
Zr 0.2545 0.5000 0.5256
Zr 0.5000 0.3278 0.0239
Zr 0.5000 0.6722 0.0239
Zr 0.7455 0.5000 0.5256
Zr 0.7531 0.1668 0.5181
Zr 0.7531 0.8332 0.5181
V 0.5000 0.0000 0.0385
O 0.0000 0.1541 0.3116
O 0.0000 0.1752 0.8175
O 0.0000 0.5000 0.3338
O 0.0000 0.5000 0.8228
O 0.0000 0.8248 0.8175
O 0.0000 0.8459 0.3116
O 0.2158 0.0000 0.6967
O 0.2453 0.3333 0.2210
O 0.2453 0.6667 0.2210
O 0.2641 0.3315 0.7217
O 0.2641 0.6685 0.7217
O 0.2719 0.0000 0.1946
O 0.5000 0.1480 0.8441
O 0.5000 0.1800 0.3414
O 0.5000 0.5000 0.3248
O 0.5000 0.5000 0.8341
O 0.5000 0.8200 0.3414
O 0.5000 0.8520 0.8441
O 0.7281 0.0000 0.1946
O 0.7359 0.3315 0.7217
O 0.7359 0.6685 0.7217
O 0.7547 0.3333 0.2210
O 0.7547 0.6667 0.2210
O 0.7842 0.0000 0.6967



Entry 2:
Entry from the Materials Project: a geometry-optimized Zr9VO20 structure (GGA+U).

Calculated total energy: -0.68145 Ry per atom
Volume: 350.26 Å³/cell

Lattice parameters (Å, degrees): 6.4749 7.3592 8.1110 77.07 75.50 71.41
Fractional positions:
Zr 0.0000 0.0000 0.0000
Zr 0.0006 0.5005 0.0035
Zr 0.2071 0.7956 0.5984
Zr 0.2197 0.2826 0.6079
Zr 0.4050 0.5891 0.2059
Zr 0.4129 0.0942 0.1979
Zr 0.6063 0.3973 0.8081
Zr 0.8117 0.6946 0.4095
Zr 0.8176 0.1933 0.4007
V 0.6025 0.8878 0.8084
O 0.0364 0.1653 0.1621
O 0.0935 0.7204 0.1353
O 0.1294 0.5626 0.4611
O 0.1891 0.1230 0.4383
O 0.2048 0.9786 0.7597
O 0.2937 0.5179 0.7411
O 0.3176 0.3778 0.0707
O 0.4120 0.9103 0.0265
O 0.4267 0.7727 0.3629
O 0.4962 0.3129 0.3501
O 0.5348 0.1442 0.6772
O 0.5914 0.7320 0.6551
O 0.6339 0.5587 0.9749
O 0.6826 0.1293 0.9575
O 0.7241 0.9712 0.2651
O 0.7986 0.5131 0.2458
O 0.8079 0.3799 0.5663
O 0.8967 0.7833 0.8605
O 0.9076 0.9092 0.5226
O 0.9947 0.3188 0.8405



Question: Which of these has the lowest calculated total energy?
Answer: Zr11VO24



Question: Among the records above, which one has the lowest volume?
Answer: Zr9VO20



What did the first record say?
Entry from the Materials Project: a geometry-optimized Zr11VO24 structure (GGA+U).

Calculated total energy: -0.68424 Ry per atom
Offset from the most stable computed form: 30 meV per atom
Volume: 420.27 Å³/cell

Lattice parameters (Å, degrees): 7.2965 10.8654 5.3012 90.00 90.00 90.00
Fractional positions:
Zr 0.0000 0.0000 0.0000
Zr 0.0000 0.3356 0.0258
Zr 0.0000 0.6644 0.0258
Zr 0.2469 0.1668 0.5181
Zr 0.2469 0.8332 0.5181
Zr 0.2545 0.5000 0.5256
Zr 0.5000 0.3278 0.0239
Zr 0.5000 0.6722 0.0239
Zr 0.7455 0.5000 0.5256
Zr 0.7531 0.1668 0.5181
Zr 0.7531 0.8332 0.5181
V 0.5000 0.0000 0.0385
O 0.0000 0.1541 0.3116
O 0.0000 0.1752 0.8175
O 0.0000 0.5000 0.3338
O 0.0000 0.5000 0.8228
O 0.0000 0.8248 0.8175
O 0.0000 0.8459 0.3116
O 0.2158 0.0000 0.6967
O 0.2453 0.3333 0.2210
O 0.2453 0.6667 0.2210

1